If you don't put on Anime when you got a woman over, you already lost.


Nov 12, 2012
The Forest Where Hope Died
Now before you get all riled up let me explain. Anime is a form of animation that originates from Japan. It's also what you should be playing if you want to get into that wet-wet no problem for a variety of reasons, like

1. Women really fukking love cartoons.

Some of them won't admit to this but it's true. Females are like kids and love things that are animated. Most of them love shyt like Finding Nemo, or Despicable Me, or anything from Disney. Anime is probably something they haven't seen, and will love because:

2. It makes you look like a cultured individual

Having an appreciation for foreign media is going to make you look like a well-rounded and more interesting person, something that putting on South Park or Tom and Jerry probably would not do. As long as you're not pompous about it, she will definitely see you in a better light. Plus, its a great way to separate yourself from the pack that would be too scared to do this

3. The women in the show will make your girl feel somewhat insecure, making it easier to smash.

Almost every woman on screen will be very good looking. So much in fact that the female may start to get jealous and insecure that you would prefer these 2D women over her, causing her to try to "show them up" by having sex with you.

4. Most of the shows are interesting, colorful, and will keep her engaged.

Misplaced records of crystals:
- - -
## Ba2CaWO6 (PBE+U)

Data for an optimized crystal structure of Ba2CaWO6.

Unit cell a=6.0466 b=6.0274 c=6.0274 alpha=59.91 beta=59.82 gamma=59.82
Last column: nearest neighbours and their distance in Å.
Sites, in units of the cell vectors:
O (0.7498, 0.7521, 0.2919)  1 W 1.96
O (0.2502, 0.2479, 0.7081)  1 W 1.96
O (0.7498, 0.2919, 0.7521)  1 W 1.96
O (0.1860, 0.2713, 0.2713)  1 W 1.96
O (0.2502, 0.7081, 0.2479)  1 W 1.96
O (0.8140, 0.7287, 0.7287)  1 W 1.96
W (0.0000, 0.5000, 0.5000)  6 O 1.96
Ba (0.2515, 0.7503, 0.7503)  7 O 2.78-3.03
Ba (0.7485, 0.2497, 0.2497)  7 O 2.78-3.03
Ca (0.5000, 0.0000, 0.0000)  6 O 2.32

Output
DFT formation energy, eV/atom: -3.033
Symmetry: C2/m (12)
Total moment, μB/atom: 0.000

***

## BaCdFeF7 (PBE+U)

Data for an optimized crystal structure of BaCdFeF7.

Unit cell a=7.5515 b=7.5515 c=15.2947 alpha=88.21 beta=88.21 gamma=42.90
Last column: nearest neighbours and their distance in Å.
Sites, in units of the cell vectors:
F (0.1218, 0.5470, 0.2783)  1 Fe 1.98
F (0.0371, 0.8374, 0.6289)  2 Cd 2.20-2.23
F (0.8992, 0.3453, 0.2014)  1 Fe 1.94
F (0.0631, 0.6640, 0.4511)  1 Fe 2.02
F (0.1828, 0.3129, 0.9082)  1 Fe 1.92
F (0.8782, 0.4530, 0.7217)  1 Fe 1.98
F (0.1626, 0.9629, 0.8711)  2 Cd 2.20-2.23
F (0.3831, 0.6043, 0.1561)  1 Fe 1.94
F (0.8172, 0.6871, 0.0918)  1 Fe 1.92
F (0.2553, 0.5720, 0.9827)  1 Fe 1.96
F (0.5470, 0.1218, 0.7783)  1 Fe 1.98
F (0.3129, 0.1828, 0.4082)  1 Fe 1.92
F (0.6169, 0.3957, 0.8439)  1 Fe 1.94
F (0.4280, 0.7447, 0.5173)  1 Fe 1.96
F (0.6043, 0.3831, 0.6561)  1 Fe 1.94
F (0.4530, 0.8782, 0.2217)  1 Fe 1.98
F (0.9629, 0.1626, 0.3711)  2 Cd 2.20-2.23
F (0.7447, 0.4280, 0.0173)  1 Fe 1.96
F (0.6871, 0.8172, 0.5918)  1 Fe 1.92
F (0.8374, 0.0371, 0.1289)  2 Cd 2.20-2.23
F (0.1008, 0.6547, 0.7986)  1 Fe 1.94
F (0.3453, 0.8992, 0.7014)  1 Fe 1.94
F (0.6547, 0.1008, 0.2987)  1 Fe 1.94
F (0.3957, 0.6169, 0.3439)  1 Fe 1.94
F (0.9369, 0.3360, 0.5489)  1 Fe 2.02
F (0.6640, 0.0631, 0.9511)  1 Fe 2.02
F (0.3360, 0.9369, 0.0489)  1 Fe 2.02
F (0.5720, 0.2553, 0.4827)  1 Fe 1.96
Cd (0.0000, 0.0000, 0.0000)  6 F 2.20-2.36
Cd (0.0482, 0.9518, 0.2500)  6 F 2.23-2.38
Cd (0.0000, 0.0000, 0.5000)  6 F 2.20-2.36
Cd (0.9518, 0.0482, 0.7500)  6 F 2.23-2.38
Fe (0.3820, 0.3735, 0.8748)  6 F 1.92-2.02
Fe (0.6180, 0.6265, 0.1252)  6 F 1.92-2.02
Fe (0.3735, 0.3820, 0.3748)  6 F 1.92-2.02
Fe (0.6265, 0.6180, 0.6252)  6 F 1.92-2.02
Ba (0.3503, 0.2685, 0.1234)  7 F 2.68-2.86
Ba (0.6497, 0.7315, 0.8766)  7 F 2.68-2.86
Ba (0.7315, 0.6497, 0.3766)  7 F 2.68-2.86
Ba (0.2685, 0.3503, 0.6234)  7 F 2.68-2.86

Output
DFT formation energy, eV/atom: -3.077
Symmetry: C2/c (15)
Total moment, μB/atom: 0.500

***

## BaVCdF7 (PBE+U)

Data for an optimized crystal structure of BaVCdF7.

Unit cell a=7.6004 b=7.6004 c=15.3782 alpha=88.28 beta=88.28 gamma=42.64
Last column: nearest neighbours and their distance in Å.
Sites, in units of the cell vectors:
V (0.6150, 0.6293, 0.1248)  6 F 1.93-2.01
V (0.6293, 0.6150, 0.6248)  6 F 1.93-2.01
- - -
The records of crystals stop here:

As long as it's not something that drags on and on like DBZ or Naruto, she'll be engaged and interested the entire time, allowing for you to plot your next moves :birdman:. Especially since you'll be playing it subbed, so she'll be reading the words and focused on the screen. Be warned, English dubs will be sure to get her out of the mood :scusthov:

5. Great way to filter out ratchet, basic bytches.

It keeps girls that don't have an open mind, don't have an appreciation for other people, and are just straight :trash:from trapping you with a baby and sucking child support from you for 18 years. You'll know that the woman is high quality if she sticks around.

I could add more but I think that will do. In short, next time you bring a girl over, play a Miyazaki film and you'll see I'm right.


Also no porn, that's too :whoa: if you haven't smashed already

Realest thread I've ever read on the coli..and realest nikka on the coli @SamuraiFlamenco

If you ain't watching Tenchi or Ranma with ya bytch..you lost


Just Wild
Jun 16, 2013
West Virginia
Pretty sure they make anime for females. Fruits Baskets, Vampire Knight and shyt like that.
Dec 30, 2013
Can we watch Hellsing? :lupe:

Hellsing would actually be a good one, lots of sex and violence, plus it has a lot of overtones in it that will be great for a discussion.
I'm about to be 26. I wish i would try to show a grown ass woman i'm dating some Anime:heh:

Real talk, she'll like it. It'll show her you're a secure man that doesn't give a fukk what she thinks and it will elevate you in her eyes.

this works on a open minded female only

the average bird won't appreciate anime

This is the coli, every woman we mess with is a high quality, 10/10 dimepiece with an open mind and great head game :shaq:
Dec 30, 2013
what if she finds those anime pretty boys better looking than you? this is a bad idea :bryan:

Which is why you put something on where the majority of the cast is female like a Miyazaki flick. Selection is important. In the same way you won't put on Marylin Manson if you want to put on love-making music, you won't put something like Free! or Boku no Pico on if you are with your woman.